Glory Onuoha (host): Good evening everyone. Welcome to the very first podcast, powered by Netcore Martech. I am here live from Nigeria and here we have Mr. Oluwadamilola Ayinde from Fidelity Pensions. Please introduce yourself.
Oluwadamilola Ayinde (guest): Thank you very much for having me here, I really appreciate it. My name is Oluwadamilola Ayinde. I’m the Corporate Communications Professional for Fidelity Pensions Managers, and I’ll be here to discuss the topics you’ve invited me for, which has to do with the Rule of Digital Communications in Pension Fund Administration.
Glory Onuoha: Thank you very much for sitting down with me. So we’ll just get right into it.
Oluwadamilola Ayinde: Okay, I guess before we started probably once we knew exactly what pension is right before we would probably get some into digital pension communication. So people keep asking, what is a pension? Well, for me, it’s just simply a retirement fund, for that’s actually an employee piece, the percentage, and then an up piece and then a percentage, falls in the form of retirement. And in Nigeria, the industry is gated by the National Pension Commission as income. And what happens is the employee gets 80% of this basic income while the employer pays 10% making beats and percentages for pension. And of course, that’s what pension is. And then if patients want administrator pension form under St. Joseph’s in Nigeria, and if patients want an industry job, that’s a PFA, it’s actually a licensed national organization by the National Pension Commission. Actually, these investors and patients form in retirement savings account.
Glory Onuoha: So, Digital Connections consists of connecting people and organizations across online channels. So what is the role of digital communications in Pension?
Oluwadamilola Ayinde: The role is very important. I mean, it’s just like any organization you actually need to understand the communication or do some communications have to be very important in the sector, just like any relation. So I’m the one the pension sector has to do with the “why is the digital communication platform being used by the fidelity pension companies?” So it starts with the first question, we want to use these applications to build our parameters.
Glory Onuoha: But before we go further for digital communication let’s break it down because it can give people more real-time insight into how this thing works?
Oluwadamilola Ayinde: True. Okay. I think you actually, first of all, mentioned that it’s a clear process of connecting with people and organizations in terms of how to communicate using online platforms. So for me, it’s simply, online digital media is simply the platform for talking to your target audience in their business space. So it’s about interaction because digital communications is a two-way process. Many people don’t know; maybe don’t understand that communication should be to the process when you’re shouting. Many of them end up as soon as not responding, it’s a one-way communication, but when it’s feedback, that’s where communication comes in. And that’s where digital comes in, where online platforms, incidents are being used to communicate with people. So in my perspective, that’s actually what digital communication is all about? So I guess I see this way.
Glory Onuoha: I totally agree. So why do pension companies use digital communication?
Oluwadamilola Ayinde: Fidelity Company actually uses this communication just like any of a large organization. For us the first question is why do you want to use it? So the festival it’s about building the brand. You need to let people know you are there. Okay. You need to let them know that you are there as a pension company. So the second thing is that you want to drive conversations. In driving conversations you need to get people to talk about you. You need people to know that you exist. You also need to create a reason why people use digital negations if you also need to create unique customer experiences. If you have companies you want to run, do you want people to know about this? It’s very important to use a regular communication channel. In crisis management, the first place people go to is the Internet when it comes to a crisis. So you want to also use digital communication platforms for that. Of course, you want to say the case; your customers buy your products and services, which is very important generally.
Glory Onuoha: Okay. So tell us about more digital communication platforms. How do they appear?
Oluwadamilola Ayinde: Okay. In the digital communication platforms, there are so many things that keep evolving in terms of what platforms you use, what are your generic ones, outrage. First of all, video marketing is also very important. That’s a platform we prefer; there are lots of video marketing channels we use such as YouTube and all of that. Definitely paid search in terms of social media platforms, search engine optimization, and of course, we might see email marketers and that people need to understand that it’s very important to get into.
Glory Onuoha: That’s all digital marketing needs. Okay, so what strategies do pension companies use?
Records of crystals that have nothing to do with the page:
____________
Record 1
Structure and calculated PXRD pattern of NaAcSe4 (DFT lattice parameters and positions (PBE); copper Kα).

Principal peaks in the range 5° ≤ 2θ ≤ 70°, by intensity:
(3 1 1), 2θ 34.9, rel. 100; (2 2 0), 2θ 29.7, rel. 35; (5 1 1), 2θ 56.1, rel. 34; (2 2 2), 2θ 36.5, rel. 32; (2 0 0), 2θ 20.9, rel. 27; (1 1 1), 2θ 18.0, rel. 24

Structure:
```
data_NaAcSe4
_cell_length_a 8.5196
_cell_length_b 8.5196
_cell_length_c 8.5196
_cell_angle_alpha 90.00
_cell_angle_beta 90.00
_cell_angle_gamma 90.00
_space_group_name_H-M_alt 'F -4 3 m'
_space_group_IT_number 216
_space_group_name_Hall 'F -4 2 3'
loop_
_atom_site_label
_atom_site_type_symbol
_atom_site_fract_x
_atom_site_fract_y
_atom_site_fract_z
_atom_site_occupancy
Na1 Na 0.0000 0.0000 0.0000 1
Ac1 Ac 0.2500 0.2500 0.2500 1
Se1 Se 0.1252 0.1252 0.6252 1
```



Record 2
Structure and calculated PXRD pattern of NaAc2SnSe4 (DFT lattice parameters and positions (PBE); copper Kα).

Principal peaks in the range 5° ≤ 2θ ≤ 70°, by intensity:
(1 1 1), 2θ 28.4, rel. 100; (2 0 -2), 2θ 28.6, rel. 49; (1 1 -3), 2θ 40.1, rel. 40; (3 1 -1), 2θ 41.5, rel. 36; (1 0 0), 2θ 12.8, rel. 31; (2 2 -2), 2θ 49.1, rel. 22

Structure:
```
data_NaAc2SnSe4
_cell_length_a 7.4042
_cell_length_b 4.6180
_cell_length_c 7.7341
_cell_angle_alpha 90.00
_cell_angle_beta 111.06
_cell_angle_gamma 90.00
_space_group_name_H-M_alt 'P 1 2/m 1'
_space_group_IT_number 10
_space_group_name_Hall '-P 2y'
loop_
_atom_site_label
_atom_site_type_symbol
_atom_site_fract_x
_atom_site_fract_y
_atom_site_fract_z
_atom_site_occupancy
Na1 Na 0.0000 0.0000 0.0000 1
Ac1 Ac 0.5000 0.0000 0.5000 1
Ac2 Ac 0.5000 0.5000 0.0000 1
Sn1 Sn 0.0000 0.5000 0.5000 1
Se1 Se 0.2454 0.0000 0.7497 1
Se2 Se 0.2499 0.5000 0.2509 1
```



Record 3
Structure and calculated PXRD pattern of Na2AcZrSe4 (DFT lattice parameters and positions (PBE); copper Kα).

Principal peaks in the range 5° ≤ 2θ ≤ 70°, by intensity:
(1 1 1), 2θ 29.8, rel. 100; (0 0 1), 2θ 12.5, rel. 74; (2 0 -2), 2θ 29.7, rel. 50; (1 1 -3), 2θ 42.2, rel. 38; (3 1 -1), 2θ 42.9, rel. 33; (1 1 0), 2θ 25.0, rel. 24

Structure:
```
data_Na2AcZrSe4
_cell_length_a 7.3319
_cell_length_b 4.1516
_cell_length_c 7.4953
_cell_angle_alpha 90.00
_cell_angle_beta 108.61
_cell_angle_gamma 90.00
_space_group_name_H-M_alt 'P 1 2/m 1'
_space_group_IT_number 10
_space_group_name_Hall '-P 2y'
loop_
_atom_site_label
_atom_site_type_symbol
_atom_site_fract_x
_atom_site_fract_y
_atom_site_fract_z
_atom_site_occupancy
Na1 Na 0.0000 0.0000 0.0000 1
Na2 Na 0.5000 0.5000 0.0000 1
Ac1 Ac 0.0000 0.5000 0.5000 1
Zr1 Zr 0.5000 0.0000 0.5000 1
Se1 Se 0.2786 0.0000 0.7416 1
Se2 Se 0.2823 0.5000 0.2734 1
```



Record 4
Structure and calculated PXRD pattern of NaAcSi (DFT lattice parameters and positions (PBE); copper Kα).

Principal peaks in the range 5° ≤ 2θ ≤ 70°, by intensity:
(0 0 1), 2θ 7.9, rel. 100; (1 1 1), 2θ 32.5, rel. 51; (1 0 0), 2θ 20.7, rel. 39; (0 1 2), 2θ 27.2, rel. 33; (0 1 1), 2θ 23.4, rel. 32; (0 0 3), 2θ 23.9, rel. 24
____________
Oluwadamilola Ayinde: Okay, in terms of strategies, let me tackle it from a generic point of view. Most specific to any pension companies, so different companies have different strategies in such cases, they have their own business goals right? Well, the first thing is to actually identify that goal. Once you have a strategy as an organization, in terms of implementing the digital communications strategy, you need to identify your goals. That’s the first thing. The second thing is you actually also understand the situation in terms of meeting those goals, right. Then you need to make the other one if you need to, get insights into your target audience from the backend, the analytics, what are they doing, where are they, how do you target these people using platforms? Then the fourth one is, you need to select the most appropriate digital communication tools because there are so many digital communication tools; choose the most effective one for your line of business. Let me bring it to the quick pensions sector. So different pension companies use different platforms, but generally, we use a lot of video marketing. We do a lot of such improvisation in the pension sector. Before you went for the website to drive traffic to websites, it’s a no-brainer, they’ll say platform that you each use. And then, of course, social media platforms, which is a part of digital communication, are very important for real-time information and all that, but everything also ends it’s on the foundation of email markets because email marketing as a platform where you can use insights, each order things you can actually use the marketing to create conversations for other platforms like websites to social media and all that stuff. So as a pension company, those are the ones that we actually use and of course let’s not also forget that everything balls down to strategy.
Glory Onuoha: So tell me Oluwadamilola through more lights on this and to see new markets in all of us to be able to expand so that your audience can understand the importance of email marketing, how far like for the pension companies do their integration. How have you been able to reach out? How are your audiences responding to emails? You know, put some light on email marketing.
Oluwadamilola Ayinde: Okay. So in terms of how we get the best out of email marketing as an organization, so initially, you know, email marketing used to be all about, let me just send emails out there. I’ve sent you the notes. I don’t care speaking of generic point of view, I don’t care if people open that mail or not, so for now what has happened with me personally is that we’ve not been able to see that digital marketing is key because the market, when we communicate from our point, from my point of view, it’s most, to me, communication, because what happens is when you send that email, I used to see insights into different teams that help you communicate like us. So that’s the kind of devices we are using to actually open those emails or what time is the best time to send those emails? What has happened when we use this email marketing and reviews use the strategy and that strategy has to do with objectives to watch the trends? Then also defining what clear costs KPIs that we actually need to meet? And then of course in terms of designing the perfect designs that are optimized for mobile and also taking out the right content, because it’s all about having the right content strategy and calendar. And then apart from the calendar, what kind of information do you want to pass out? What’s the main thing you’re sending out to clients? So in terms of that aspect, it’s what we’ve used more effectively. What we’ve also done is that we’ve used the on occasion MarTech to actually get the best out of inner markets. So in getting the best, we’ve been able to see its user-friendliness, we need you to see how you set the team for email marketing. So you know that to increase your email open rates, because you don’t want to just send out emails to people who just haven’t got any books, you want to get more people who don’t open that.
Glory Onuoha: Yes there are lots of emails that go into spam
Oluwadamilola Ayinde: Exactly. So, I mean, it all depends on a lot of factors like the quality of the content, also it also boils down to understanding the audience exactly. And of course, email segmentation, which is a no-brainer because you don’t want to send the wrong emails to the wrong side. So when you segment emails, it’s easy to actually get the best out of that email and also increase open rates which are variable.
Here the piece breaks off for materials data:
........
Record 1
Diffraction record for Tb3Co2Ni7. The powder diffraction line list is computed, not measured: it uses the GGA-PBE geometry in Alexandria and CuKα.
Intensities are scaled so that the largest is 100.

Structure:
```
data_Tb3Co2Ni7
_cell_length_a 4.9678
_cell_length_b 4.9678
_cell_length_c 24.4852
_cell_angle_alpha 90.00
_cell_angle_beta 90.00
_cell_angle_gamma 120.00
_symmetry_space_group_name_H-M 'R -3 m'
_symmetry_Int_Tables_number 166
_symmetry_space_group_name_Hall '-R 3 2"'
loop_
_atom_site_label
_atom_site_fract_x
_atom_site_fract_y
_atom_site_fract_z
Tb1 0.0000 0.0000 0.0000
Tb2 0.0000 0.0000 0.1385
Co1 0.0000 0.0000 0.3328
Ni1 0.0000 0.0000 0.5000
Ni2 0.9999 0.4999 0.0812
```

Main lines, most intense first (2θ from 5° to 70°):
- 42.62 deg, intensity 100, (1 1 6)
- 33.00 deg, intensity 51, (1 0 7)
- 36.16 deg, intensity 51, (1 1 0)
- 36.01 deg, intensity 42, (0 1 8)
- 42.17 deg, intensity 38, (0 2 1)
- 64.98 deg, intensity 24, (3 0 0)
- 69.47 deg, intensity 20, (3 0 6)
- 63.04 deg, intensity 15, (2 1 7)
- 46.09 deg, intensity 15, (2 0 5)
- 45.90 deg, intensity 13, (0 1 11)

Record 2
Diffraction record for TbCo4Ni8. The powder diffraction line list is computed, not measured: it uses the GGA-PBE geometry in Alexandria and CuKα.
Intensities are scaled so that the largest is 100.

Structure:
```
data_TbCo4Ni8
_cell_length_a 8.2552
_cell_length_b 8.2552
_cell_length_c 4.6634
_cell_angle_alpha 90.00
_cell_angle_beta 90.00
_cell_angle_gamma 90.00
_symmetry_space_group_name_H-M 'I 4/m m m'
_symmetry_Int_Tables_number 139
_symmetry_space_group_name_Hall '-I 4 2'
loop_
_atom_site_label
_atom_site_fract_x
_atom_site_fract_y
_atom_site_fract_z
Tb1 0.0000 0.0000 0.0000
Co1 0.2500 0.2500 0.2500
Ni1 0.0000 0.2217 0.5000
Ni2 0.0000 0.3554 0.0000
```

Main lines, most intense first (2θ from 5° to 70°):
- 44.06 deg, intensity 100, (3 2 1)
- 44.63 deg, intensity 67, (2 0 2)
- 43.87 deg, intensity 57, (4 0 0)
- 37.97 deg, intensity 48, (3 0 1)
- 30.89 deg, intensity 30, (2 1 1)
- 50.07 deg, intensity 27, (2 2 2)
- 38.61 deg, intensity 18, (0 0 2)
- 34.35 deg, intensity 13, (3 1 0)
- 49.37 deg, intensity 12, (4 2 0)
- 64.37 deg, intensity 9, (4 2 2)

Record 3
Diffraction record for Tb2Co3Ni. The powder diffraction line list is computed, not measured: it uses the GGA-PBE geometry in Alexandria and CuKα.
Intensities are scaled so that the largest is 100.

Structure:
```
data_Tb2Co3Ni
_cell_length_a 4.9990
_cell_length_b 4.9990
_cell_length_c 12.8595
_cell_angle_alpha 90.00
_cell_angle_beta 90.00
_cell_angle_gamma 120.00
_symmetry_space_group_name_H-M 'R -3 m'
_symmetry_Int_Tables_number 166
_symmetry_space_group_name_Hall '-R 3 2"'
loop_
_atom_site_label
_atom_site_fract_x
_atom_site_fract_y
_atom_site_fract_z
Tb1 0.0000 0.0000 0.1220
Co1 0.0000 0.5000 0.0000
Ni1 0.0000 0.0000 0.5000
```

Main lines, most intense first (2θ from 5° to 70°):
- 41.84 deg, intensity 100, (1 1 3)
- 34.76 deg, intensity 71, (1 0 4)
- 35.93 deg, intensity 68, (1 1 0)
........
Glory Onuoha: So Oluwadamilola we are moving to final words, so tell us that you’ve mentioned MarTech, and how MarTech has helped you excel in the channels of communication. And I know that tech specialists are currently using email as well, differently. So their communications, I want you to tell us how MarTech has helped your communications with your clients?
Oluwadamilola Ayinde: Yes. Okay. So in saying of using a MarTech platform by Netcore, it’s made email marketing a lot easier because first of all, the obligation is user-friendly, it’s easy for learners. I mean, it’s not just an obligation. That’s only when a desk can use other people in other aspects of the business to actually go there, understand how it works and get the most out of me. So the first thing is it’s user-friendly. The second thing is that once you log in on your phone, you create, you implement your already existing strategies, and you can always treat the tactics based on using the application and the sponsor application. So I’m changing your toxic soup. All you have to do is, all one has to do is use the analytics aspects of the MarTech platform. So there’s an analysis aspect that has made me understand rather than making me doesn’t understand what the audience really wants, right? When would they want, what kind of content to do once it gives real-time information? Once you send that information to who received the email, when they open it, at what time they open it, and all of that. So it’s given that real-time information, I was actually helped. I’ve not experienced any downtime on the platform. And then of course, that it’s even helped me out more effectively as a digital marketer, even if that’s just my secondary role. So as a digital marketer, it gives me more insights into generalist aspects, and improves myself as a person. So overall in terms of the business, it’s definitely added in terms of, because what’s happening is that it’s actually increased the conversations, it’s giving more people, these meters more hair. So people listened to us more and they were able to give more prompt feedback. I mean it’s common knowledge that more people use Gmail’s convincer Yahoo, people get worried about some emails not being delivered and all that. We’ve seen an improvement in that since we signed up at the MarTech platform.
Glory Onuoha: Okay, thank you very much. Thank you for telling us the trends and to very good lights on the pension industry and how digital marketing has helped you out the pension companies. Pension companies are able to reach out to your audience. I know also you mentioned that digital communication is a two way thing, not just wishing not to, but all your audience actually responding to the emails that you send to them, your emails are getting clicky, you know, seeing your different products, actually getting interested. You know it got to the company it’s like Oh I’m just saying this product I can put up. Thank you so much. And yes this is constantly the end of today’s episode. And it was lovely hearing from you. And you can add the final words to us.
Oluwadamilola Ayinde: Thanks for having me. It’s been a nice experience, talking about this topic, like I tell people that MarTech is there for us, it actually gives you real time information on feedback and I keep saying that digital marketing can be much easier with the MarTech platform for digital communications. So, thank you very much for having me.